Tuesday, January 26, 2010

Mr. Mayor Cut Down This Curb! (Week 4)

This week I think I'll continue on the subject of Athens, Ohio. While last week I talked about the architectural beauty of this largely Georgian style community and university, this week I wanted to point out what I perceive as the largest negative aspect surrounding this community. It is an issue that undoubtedly surrounds many college towns and it is that of town and gown relations, or in many cases, lack thereof.

Athens is quaint and beautiful but continued push for economic development (which is desperately needed in what is the poorest county in the state) and expansion of the university have caused a strain between those representing the university community and those representing the "townies." Recently Ohio University has spent tens of millions of dollars on new projects including a new dorm, a research center for the College of Engineering and College of Osteopathic Medicine, and the largest project of all: the John Calhoun Baker University Center, a $65 million dollar student center that is the newest trophy on the university's figurative wall. In addition to the student center, the university has built a road (aptly named Bobcat Lane) for easy access from one of the city's main thoroughfares, Richland Avenue. The problem is that during the long construction of the student center a new administration has taken office at City Hall and refused to honor the agreement that the university had with the previous mayor for a connection to Richland Avenue.

== Someone pasted calculated crystals at this point ==
┌──
[1]
This record from Alexandria via LeMat-Bulk describes crystalline Sr3CaRh at its relaxed geometry. The functional is GGA-PBE.

Summary:
**SG**: Fd-3m, No. 227
**Energy above the lowest structure with this stoichiometry**: 249 meV/atom
**Energy of formation**: 0.24 eV/f.u.

Lattice parameters (Å, degrees): 11.177 11.177 11.177 60.00 60.00 60.00
Sites, in units of the cell vectors:
Sr  0.686  0.314  0.314
Sr  0.936  0.564  0.564
Sr  0.564  0.564  0.936
Sr  0.564  0.936  0.936
Sr  0.936  0.564  0.936
Sr  0.686  0.314  0.686
Sr  0.564  0.936  0.564
Sr  0.936  0.936  0.564
Sr  0.314  0.686  0.314
Sr  0.314  0.686  0.686
Sr  0.314  0.314  0.686
Sr  0.686  0.686  0.314
Ca  0.125  0.125  0.125
Ca  0.125  0.625  0.125
Ca  0.625  0.125  0.125
Ca  0.125  0.125  0.625
Rh  0.625  0.625  0.625
Rh  0.625  0.125  0.625
Rh  0.125  0.625  0.625
Rh  0.625  0.625  0.125



[2]
This record from Alexandria via LeMat-Bulk describes crystalline Tb5Dy3Y4 at its relaxed geometry. The functional is GGA-PBE.

Summary:
**SG**: C2/m, No. 12
**Energy above the lowest structure with this stoichiometry**: 214 meV/atom
**Energy of formation**: 2.79 eV/f.u.

Lattice parameters (Å, degrees): 5.883 8.562 9.606 105.71 72.17 69.90
Last column: magnetic moment on the atom in μB.
Sites, in units of the cell vectors:
Tb  0.626  0.949  0.800  0.01
Tb  0.500  0.500  0.500  0.15
Tb  0.213  0.460  0.114  0.01
Tb  0.787  0.540  0.886  0.01
Tb  0.374  0.051  0.200  0.01
Dy  0.522  0.687  0.268  0.01
Dy  0.000  0.500  0.500  0.16
Dy  0.478  0.313  0.732  0.01
Y  0.858  0.222  0.062  0.00
Y  0.165  0.048  0.622  0.00
Y  0.835  0.952  0.378  0.00
Y  0.142  0.778  0.938  0.00



[3]
This record from Alexandria via LeMat-Bulk describes crystalline Ni6MoPd12 at its relaxed geometry. The functional is GGA-PBE.

Summary:
**SG**: Im-3, No. 204
**Energy of formation**: 3.21 eV/f.u.

Lattice parameters (Å, degrees): 7.148 7.148 7.148 109.47 109.47 109.47
Last column: magnetic moment on the atom in μB.
Sites, in units of the cell vectors:
Ni  0.364  0.500  0.864  0.80
Ni  0.636  0.500  0.136  0.80
Ni  0.500  0.864  0.364  0.80
Ni  0.500  0.136  0.636  0.80
Ni  0.864  0.364  0.500  0.80
Ni  0.136  0.636  0.500  0.80
Mo  0.000  0.000  0.000  -0.32
Pd  0.270  0.090  0.819  0.12
Pd  0.270  0.451  0.181  0.12
Pd  0.730  0.549  0.819  0.12
Pd  0.730  0.910  0.181  0.12
Pd  0.090  0.819  0.270  0.12
Pd  0.451  0.181  0.270  0.12
Pd  0.549  0.819  0.730  0.12
Pd  0.910  0.181  0.730  0.12
Pd  0.819  0.270  0.090  0.12
Pd  0.181  0.270  0.451  0.12
Pd  0.819  0.730  0.549  0.12
Pd  0.181  0.730  0.910  0.12



[4]
This record from Alexandria via LeMat-Bulk describes crystalline CeHoMgTl at its relaxed geometry. The functional is GGA-PBE.

Summary:
**SG**: F-43m, No. 216
**Energy of formation**: -0.57 eV/f.u.

Lattice parameters (Å, degrees): 5.403 5.403 5.403 60.00 60.00 60.00
Last column: magnetic moment on the atom in μB.
Sites, in units of the cell vectors:
Mg  0.500  0.500  0.500  0.01
└──

Now Ohio University is stuck with their very own road to nowhere and the mayor won't budge. I personally think this has to be one of the most ridiculous situations to arise in university/city relations. A study was commissioned and found that not only is the connection of Bobcat Lane safe, but it may alleviate current congestion problems in the area. The university has tried to compromise by suggesting it be a right-turn-in/right-turn-out only road and for it to be opened on a six month trial basis, but the administration has refused to budge! My message to Mayor Wiehl: I know you want to assert the city's dominance in this matter, but stop acting like a 12 year old and work with the university a little! Mr. Mayor, cut down this curb!

Photos: Top, Baker University Center, north view; Bottom, Baker University Center, south view
Photo Sources: www.ohio.edu


  1. I work at Bird Arena and we all talk about how stupid this situation is. The stoplight at the bottom of Richland Ave and South Green Drive is the most congested place on campus, especially on the hour, and it's awful trying to get out of there. Having the 3 feet or so of Bobcat Ln paved would help alleviate this problem. The city just needs to suck it up and work this out.

  2. Yeah...I guess it's pretty dumb. They should put a traffic light there or something so that the crosswalks are safer and more official.
